_Given_
=====
## HfTiSe3 (PBE)

Data for an optimized crystal structure of HfTiSe3.

a = 3.780 Å, b = 6.573 Å, c = 9.853 Å
α = 90.00°, β = 101.06°, γ = 90.00°
Atoms (fractional coordinates):
Hf: 0.335 0.501 0.670
Hf: 0.665 0.001 0.330
Ti: 0.827 0.983 0.654
Ti: 0.173 0.483 0.346
Se: 0.906 0.313 0.812
Se: 0.094 0.813 0.188
Se: 0.595 0.338 0.189
Se: 0.405 0.838 0.811
Se: 0.749 0.659 0.497
Se: 0.251 0.159 0.503

Results
Total moment   0.00 μB/cell
Formation energy without anion corrections   -1.162 eV per atom


## PaTiNbV (PBE)

Data for an optimized crystal structure of PaTiNbV.

a = 4.685 Å, b = 4.685 Å, c = 4.685 Å
α = 60.00°, β = 60.00°, γ = 60.00°
Atoms (fractional coordinates):
Nb: 0.500 0.500 0.500
Pa: 0.250 0.250 0.250
Ti: 0.750 0.750 0.750
V: 0.000 0.000 0.000

Results
Total moment   0.00 μB/cell
E_form   26.0 meV per atom


## Be3MoPd (PBE)

Data for an optimized crystal structure of Be3MoPd.

a = 4.182 Å, b = 4.182 Å, c = 4.182 Å
α = 90.00°, β = 90.00°, γ = 90.00°
Atoms (fractional coordinates):
Be: 0.000 0.500 0.000
Be: 0.000 0.000 0.500
Be: 0.500 0.000 0.000
Mo: 0.000 0.000 0.000
Pd: 0.500 0.500 0.500

Results
Total moment   0.00 μB/cell
E_form   1244.0 meV per atom


## Ce2UGe4Pt3 (PBE)

Data for an optimized crystal structure of Ce2UGe4Pt3.

a = 4.321 Å, b = 4.321 Å, c = 11.225 Å
α = 90.00°, β = 90.00°, γ = 90.00°
Atoms (fractional coordinates):
Ce: 0.500 0.000 0.235
Ce: 0.000 0.500 0.765
U: 0.500 0.500 0.500
Ge: 0.500 0.500 0.000
Ge: 0.000 0.000 0.000
Ge: 0.500 0.000 0.666
Ge: 0.000 0.500 0.334
Pt: 0.000 0.000 0.500
Pt: 0.500 0.000 0.885
Pt: 0.000 0.500 0.115

Results
Total moment   3.73 μB/cell
E_form   -697.1 meV per atom


## LiAl4Ni5 (PBE)

Data for an optimized crystal structure of LiAl4Ni5.

a = 2.902 Å, b = 2.902 Å, c = 14.143 Å
α = 90.00°, β = 90.00°, γ = 90.00°
Atoms (fractional coordinates):
Li: 0.000 0.000 0.000
Al: 0.000 0.000 0.195
Al: 0.000 0.000 0.399
Al: 0.000 0.000 0.601
Al: 0.000 0.000 0.805
Ni: 0.500 0.500 0.099
Ni: 0.500 0.500 0.298
Ni: 0.500 0.500 0.500
Ni: 0.500 0.500 0.702
Ni: 0.500 0.500 0.901

Results
Total moment   0.00 μB/cell
E_form   -530.0 meV per atom


## BaNiTe (PBE)

Data for an optimized crystal structure of BaNiTe.

a = 4.601 Å, b = 4.601 Å, c = 8.664 Å
α = 105.40°, β = 105.40°, γ = 90.00°
Atoms (fractional coordinates):
Te: 0.103 0.103 0.206
Te: 0.897 0.897 0.794
Ni: 0.000 0.500 0.000
Ni: 0.500 0.000 0.000
Ba: 0.653 0.653 0.306
Ba: 0.347 0.347 0.694

Results
Total moment   0.00 μB/cell
Formation energy without anion corrections   -0.488 eV per atom


## SmY14Zr (PBE)

Data for an optimized crystal structure of SmY14Zr.

a = 7.112 Å, b = 7.112 Å, c = 9.985 Å
α = 90.00°, β = 90.00°, γ = 89.99°
Atoms (fractional coordinates):
Sm: 0.375 0.625 0.000
Y: 0.375 0.625 0.500
Y: 0.875 0.125 0.500
Y: 0.875 0.625 0.000
Y: 0.875 0.625 0.500
Y: 0.375 0.125 0.000
Y: 0.375 0.125 0.500
Y: 0.630 0.880 0.756
Y: 0.630 0.880 0.244
Y: 0.120 0.370 0.756
Y: 0.120 0.370 0.244
Y: 0.120 0.880 0.756
Y: 0.120 0.880 0.244
Y: 0.630 0.370 0.756
Y: 0.630 0.370 0.244
Zr: 0.875 0.125 0.000

Results
Total moment   0.00 μB/cell
E_form   42.7 meV per atom


## NaAgH3 (PBE)

Data for an optimized crystal structure of NaAgH3.

a = 3.752 Å, b = 3.752 Å, c = 3.752 Å
α = 90.00°, β = 90.00°, γ = 90.00°
Atoms (fractional coordinates):
Na: 0.500 0.500 0.500
Ag: 0.000 0.000 0.000
H: 0.000 0.500 0.000
H: 0.000 0.000 0.500
H: 0.500 0.000 0.000

Results
Final energy   -2.804 eV/atom
Total moment   0.00 μB/cell


## Sn2Hg2Te (PBE)

Data for an optimized crystal structure of Sn2Hg2Te.

a = 4.213 Å, b = 4.213 Å, c = 8.709 Å
α = 76.00°, β = 76.00°, γ = 90.00°
Atoms (fractional coordinates):
Te: 0.000 0.000 0.000
Hg: 0.407 0.407 0.185
Hg: 0.593 0.593 0.815
Sn: 0.750 0.250 0.500
Sn: 0.250 0.750 0.500

Results
Total moment   0.00 μB/cell
Formation energy without anion corrections   0.159 eV per atom


## Be2CuPb (PBE)

Data for an optimized crystal structure of Be2CuPb.

a = 3.873 Å, b = 3.873 Å, c = 5.442 Å
α = 68.82°, β = 68.82°, γ = 59.93°
=====

_Assignment_
Echo all of the entries earlier on character by character.

_Outcome_
## HfTiSe3 (PBE)

Data for an optimized crystal structure of HfTiSe3.

a = 3.780 Å, b = 6.573 Å, c = 9.853 Å
α = 90.00°, β = 101.06°, γ = 90.00°
Atoms (fractional coordinates):
Hf: 0.335 0.501 0.670
Hf: 0.665 0.001 0.330
Ti: 0.827 0.983 0.654
Ti: 0.173 0.483 0.346
Se: 0.906 0.313 0.812
Se: 0.094 0.813 0.188
Se: 0.595 0.338 0.189
Se: 0.405 0.838 0.811
Se: 0.749 0.659 0.497
Se: 0.251 0.159 0.503

Results
Total moment   0.00 μB/cell
Formation energy without anion corrections   -1.162 eV per atom


## PaTiNbV (PBE)

Data for an optimized crystal structure of PaTiNbV.

a = 4.685 Å, b = 4.685 Å, c = 4.685 Å
α = 60.00°, β = 60.00°, γ = 60.00°
Atoms (fractional coordinates):
Nb: 0.500 0.500 0.500
Pa: 0.250 0.250 0.250
Ti: 0.750 0.750 0.750
V: 0.000 0.000 0.000

Results
Total moment   0.00 μB/cell
E_form   26.0 meV per atom


## Be3MoPd (PBE)

Data for an optimized crystal structure of Be3MoPd.

a = 4.182 Å, b = 4.182 Å, c = 4.182 Å
α = 90.00°, β = 90.00°, γ = 90.00°
Atoms (fractional coordinates):
Be: 0.000 0.500 0.000
Be: 0.000 0.000 0.500
Be: 0.500 0.000 0.000
Mo: 0.000 0.000 0.000
Pd: 0.500 0.500 0.500

Results
Total moment   0.00 μB/cell
E_form   1244.0 meV per atom


## Ce2UGe4Pt3 (PBE)

Data for an optimized crystal structure of Ce2UGe4Pt3.

a = 4.321 Å, b = 4.321 Å, c = 11.225 Å
α = 90.00°, β = 90.00°, γ = 90.00°
Atoms (fractional coordinates):
Ce: 0.500 0.000 0.235
Ce: 0.000 0.500 0.765
U: 0.500 0.500 0.500
Ge: 0.500 0.500 0.000
Ge: 0.000 0.000 0.000
Ge: 0.500 0.000 0.666
Ge: 0.000 0.500 0.334
Pt: 0.000 0.000 0.500
Pt: 0.500 0.000 0.885
Pt: 0.000 0.500 0.115

Results
Total moment   3.73 μB/cell
E_form   -697.1 meV per atom


## LiAl4Ni5 (PBE)

Data for an optimized crystal structure of LiAl4Ni5.

a = 2.902 Å, b = 2.902 Å, c = 14.143 Å
α = 90.00°, β = 90.00°, γ = 90.00°
Atoms (fractional coordinates):
Li: 0.000 0.000 0.000
Al: 0.000 0.000 0.195
Al: 0.000 0.000 0.399
Al: 0.000 0.000 0.601
Al: 0.000 0.000 0.805
Ni: 0.500 0.500 0.099
Ni: 0.500 0.500 0.298
Ni: 0.500 0.500 0.500
Ni: 0.500 0.500 0.702
Ni: 0.500 0.500 0.901

Results
Total moment   0.00 μB/cell
E_form   -530.0 meV per atom


## BaNiTe (PBE)

Data for an optimized crystal structure of BaNiTe.

a = 4.601 Å, b = 4.601 Å, c = 8.664 Å
α = 105.40°, β = 105.40°, γ = 90.00°
Atoms (fractional coordinates):
Te: 0.103 0.103 0.206
Te: 0.897 0.897 0.794
Ni: 0.000 0.500 0.000
Ni: 0.500 0.000 0.000
Ba: 0.653 0.653 0.306
Ba: 0.347 0.347 0.694

Results
Total moment   0.00 μB/cell
Formation energy without anion corrections   -0.488 eV per atom


## SmY14Zr (PBE)

Data for an optimized crystal structure of SmY14Zr.

a = 7.112 Å, b = 7.112 Å, c = 9.985 Å
α = 90.00°, β = 90.00°, γ = 89.99°
Atoms (fractional coordinates):
Sm: 0.375 0.625 0.000
Y: 0.375 0.625 0.500
Y: 0.875 0.125 0.500
Y: 0.875 0.625 0.000
Y: 0.875 0.625 0.500
Y: 0.375 0.125 0.000
Y: 0.375 0.125 0.500
Y: 0.630 0.880 0.756
Y: 0.630 0.880 0.244
Y: 0.120 0.370 0.756
Y: 0.120 0.370 0.244
Y: 0.120 0.880 0.756
Y: 0.120 0.880 0.244
Y: 0.630 0.370 0.756
Y: 0.630 0.370 0.244
Zr: 0.875 0.125 0.000

Results
Total moment   0.00 μB/cell
E_form   42.7 meV per atom


## NaAgH3 (PBE)

Data for an optimized crystal structure of NaAgH3.

a = 3.752 Å, b = 3.752 Å, c = 3.752 Å
α = 90.00°, β = 90.00°, γ = 90.00°
Atoms (fractional coordinates):
Na: 0.500 0.500 0.500
Ag: 0.000 0.000 0.000
H: 0.000 0.500 0.000
H: 0.000 0.000 0.500
H: 0.500 0.000 0.000

Results
Final energy   -2.804 eV/atom
Total moment   0.00 μB/cell


## Sn2Hg2Te (PBE)

Data for an optimized crystal structure of Sn2Hg2Te.

a = 4.213 Å, b = 4.213 Å, c = 8.709 Å
α = 76.00°, β = 76.00°, γ = 90.00°
Atoms (fractional coordinates):
Te: 0.000 0.000 0.000
Hg: 0.407 0.407 0.185
Hg: 0.593 0.593 0.815
Sn: 0.750 0.250 0.500
Sn: 0.250 0.750 0.500

Results
Total moment   0.00 μB/cell
Formation energy without anion corrections   0.159 eV per atom


## Be2CuPb (PBE)

Data for an optimized crystal structure of Be2CuPb.

a = 3.873 Å, b = 3.873 Å, c = 5.442 Å
α = 68.82°, β = 68.82°, γ = 59.93°